(Input)
No. 1
{
  "formula": "LaAl10Cu2",
  "functional": "GGA-PBE",
  "state": "optimized geometry",
  "rho_g_cm3": 3.978,
  "delta_e_f_ev_per_atom": -0.2109,
  "final_energy_ev_per_atom": -4.099,
  "lattice": [[0.0000, 6.2304, 6.9381], [2.5868, 0.0000, 6.9381], [2.5868, 6.2304, 0.0000]],
  "species": ["La", "Al", "Al", "Al", "Al", "Al", "Al", "Al", "Al", "Al", "Al", "Cu", "Cu"],
  "fractional_positions": [[0.0000, 0.0000, 0.0000], [0.0000, 0.0000, 0.5000], [0.0085, 0.3532, 0.6468], [0.2688, 0.4882, 0.5118], [0.3532, 0.0085, 0.9915], [0.4882, 0.2688, 0.7312], [0.5000, 0.5000, 0.0000], [0.5118, 0.7312, 0.2688], [0.6468, 0.9915, 0.0085], [0.7312, 0.5118, 0.4882], [0.9915, 0.6468, 0.3532], [0.0000, 0.5000, 0.0000], [0.5000, 0.0000, 0.5000]]
}

No. 2
{
  "formula": "K2Cu2SeO6",
  "functional": "GGA-PBE",
  "state": "optimized geometry",
  "rho_g_cm3": 3.930,
  "final_energy_ev_per_atom": -4.797,
  "lattice": [[2.8532, 1.6473, 5.6968], [-2.8532, 1.6473, 5.6968], [0.0000, -3.2946, 5.6968]],
  "species": ["K", "K", "Cu", "Cu", "Se", "O", "O", "O", "O", "O", "O"],
  "fractional_positions": [[0.2080, 0.2080, 0.2080], [0.7920, 0.7920, 0.7920], [0.3878, 0.3878, 0.3878], [0.6122, 0.6122, 0.6122], [0.0000, 0.0000, 0.0000], [0.2141, 0.2141, 0.7725], [0.2141, 0.7725, 0.2141], [0.2275, 0.7859, 0.7859], [0.7725, 0.2141, 0.2141], [0.7859, 0.2275, 0.7859], [0.7859, 0.7859, 0.2275]]
}

No. 3
{
  "formula": "BeCd2Cl",
  "functional": "GGA-PBE",
  "state": "optimized geometry",
  "rho_g_cm3": 5.920,
  "final_energy_ev_per_atom": -1.783,
  "lattice": [[3.1528, 0.0000, 0.0000], [0.0000, 3.1528, 0.0000], [0.0000, 0.0000, 7.5985]],
  "species": ["Be", "Cd", "Cd", "Cl"],
  "fractional_positions": [[0.0000, 0.0000, 0.0000], [0.5000, 0.5000, 0.2138], [0.5000, 0.5000, 0.7862], [0.0000, 0.0000, 0.5000]]
}

No. 4
{
  "formula": "Ga2SnB",
  "functional": "GGA-PBE",
  "state": "optimized geometry",
  "rho_g_cm3": 6.085,
  "delta_e_f_ev_per_atom": 0.2746,
  "final_energy_ev_per_atom": -3.909,
  "lattice": [[10.5919, 0.0000, 0.0000], [0.0000, 5.0560, 0.0000], [-3.4098, 0.0000, 5.4823]],
  "species": ["Ga", "Ga", "Ga", "Ga", "Ga", "Ga", "Ga", "Ga", "Sn", "Sn", "Sn", "Sn", "B", "B", "B", "B"],
  "fractional_positions": [[0.0792, 0.0000, 0.2361], [0.1285, 0.5000, 0.4872], [0.3715, 0.0000, 0.5128], [0.4208, 0.5000, 0.7639], [0.5792, 0.5000, 0.2361], [0.6285, 0.0000, 0.4872], [0.8715, 0.5000, 0.5128], [0.9208, 0.0000, 0.7639], [0.2358, 0.5000, 0.1395], [0.2642, 0.0000, 0.8605], [0.7358, 0.0000, 0.1395], [0.7642, 0.5000, 0.8605], [0.0000, 0.1641, 0.5000], [0.0000, 0.8359, 0.5000], [0.5000, 0.3359, 0.5000], [0.5000, 0.6641, 0.5000]]
}

No. 5
{
  "formula": "Li5AlCu6",
  "functional": "GGA-PBE",
  "state": "optimized geometry",
  "rho_g_cm3": 4.798,
  "delta_e_f_ev_per_atom": -0.0628,
  "final_energy_ev_per_atom": -3.220,
  "lattice": [[2.1303, -6.4174, 0.0000], [2.1303, 6.4174, 0.0000], [0.0000, 0.0000, 5.6075]],
  "species": ["Li", "Li", "Li", "Li", "Li", "Al", "Cu", "Cu", "Cu", "Cu", "Cu", "Cu"],
  "fractional_positions": [[0.0000, 0.0000, 0.0000], [0.3320, 0.6680, 0.0000], [0.3340, 0.6660, 0.5000], [0.6660, 0.3340, 0.5000], [0.6680, 0.3320, 0.0000], [0.0000, 0.0000, 0.5000], [0.1653, 0.8347, 0.2506], [0.1653, 0.8347, 0.7494], [0.5000, 0.5000, 0.2482], [0.5000, 0.5000, 0.7518], [0.8347, 0.1653, 0.2506], [0.8347, 0.1653, 0.7494]]
}

No. 6
{
  "formula": "LiCaFe2Tc",
  "functional": "GGA-PBE",
  "state": "optimized geometry",
  "rho_g_cm3": 5.557,
  "delta_e_f_ev_per_atom": 1.3266,
  "final_energy_ev_per_atom": -4.915,
  "lattice": [[4.2047, 0.0000, 0.0000], [0.0000, 4.2047, 0.0000], [0.0000, 0.0000, 4.3393]],
  "species": ["Li", "Ca", "Fe", "Fe", "Tc"],
  "fractional_positions": [[0.0000, 0.0000, 0.0000], [0.5000, 0.5000, 0.5000], [0.0000, 0.5000, 0.0000], [0.5000, 0.0000, 0.0000], [0.0000, 0.0000, 0.5000]]
}

No. 7
{
  "formula": "Ag2SnCl7",
  "functional": "GGA-PBE",
  "state": "optimized geometry",
  "rho_g_cm3": 2.527,
  "final_energy_ev_per_atom": -2.903,
(Assignment)
Filter the notes further above: keep the lines with the word "Ca".
(Response)
  "species": ["Li", "Ca", "Fe", "Fe", "Tc"],